Warning: This story makes many references to the "F-word." Although I will make this as family-friendly as possible, some might be offended.
While I learned Czech at the Defense Language Institute, one of our teachers was a linguistics professor in (at the time) Czechoslovakia, Dr. Slavitsky.
One day, Dr. Slavitsky came into class and announced to us: "I just watched 'Eddie Murphy: Raw' and I have a number of questions about this word F***. He uses it as a noun, a verb, an adjective, and adverb, an exclamation and in many other ways I simply do not understand. Will you please explain this 'f***' to me?" He held up the video as he said this.
Of course, being rough and tough young soldiers, all of us in the class were well-versed in the use of the F-word. Because all of us were from different parts of the country, we also had knowledge of the unique way the f-word is used in different parts of the US. It was natural for us to be able to fully explain to Dr. Slavitsky the proper (or, more appropriately, improper) use of it in colloquial speech.
Also, most of us having seen "Eddie Murphy: Raw" we knew what the good doctor was referring to when he mentioned the different parts of speech in which the f-word was used. Being rather current and fresh in our minds, we were more than able to discuss this as an intellectual pursuit.
Each of us, in turn, went to the chalk board and wrote down a sentence or two using the f-word which we either remembered from the video or from our own vast experience using the word. We would go over our sentence, explaining in detail what the sentence meant, and answer any questions Dr. Slavitsky might have. Of course, each question led to a different sentence, which led to more explanation, which led to even more instances of the f-word being written on the board.
Over the course of the hour, as we talked, Dr. Slavitsky took copious notes in the composition notebook he always carried. He wrote furiously, diagramming sentences and making arrows and underlining things he wrote as we emphasized certain points of "grammar." All in all I think he learned more English slang that day than a normal student of American English might learn in a month. He took it all in, occasionally looking up and saying, "Yes, yes, go on."
At the end of the hour, he thanked us for helping him better understand the f-word and left us to our next teacher. Our next teacher just happened to be our homeroom teacher, Mrs. Lang.
Mrs. Lang was a wonderful lady, who I describe as being "grandmotherly." Indeed, she was old enough to be a grandmother to most of us in the class. She was a proper lady who came from a family of means (at least they were of means before the Communists took over after World War II).
We came into class and sat at our desks, never thinking about the verbal carnage we'd left on the chalk board during the previous hour. Nor had any of us erased what was there. I don't think we did this deliberately, I think we just didn't think about it.
Mrs. Lang came into the class a few minutes late. As she turned toward the front of the class from closing the door, her eyes fell upon the, perhaps, hundreds of sentences on the chalk board - each containing one form of the f-word or another. I distinctly remember the color draining from her face and the audible gasp she made as she read some of the filth we'd managed to conjure up.
**The piece is interrupted by records of crystals**
/*
DyLuGe2Os: theoretical X-ray powder pattern (Cu Kα), based on a crystal structure in OQMD, relaxed with PBE.
Kinematic intensities with the Lorentz-polarization factor, no thermal factor.

Structure:
```
10
Lattice="5.321 -2.141 0.000 5.321 2.141 0.000 -4.675 0.000 8.883" Properties=species:S:1:pos:R:3 pbc="T T T"
Dy 1.432 0.000 1.022
Dy 4.535 0.000 7.861
Lu -3.120 0.000 5.978
Lu 9.086 0.000 2.905
Ge 1.778 0.000 3.899
Ge 4.583 0.000 1.118
Ge 1.383 0.000 7.765
Ge 4.188 0.000 4.984
Os -0.090 0.000 5.607
Os 6.056 0.000 3.276
```

Peak list (8 most intense, 2θ = 10–90°, by angle)
Position (°2θ), I_rel
32.9, 306
33.4, 924
33.5, 593
34.3, 321
37.1, 777
40.6, 1000
42.2, 617
65.1, 282

Li4InPAu2: theoretical X-ray powder pattern (Cu Kα), based on a crystal structure in OQMD, relaxed with PBE.
Kinematic intensities with the Lorentz-polarization factor, no thermal factor.

Structure:
```
8
Lattice="4.203 0.000 0.000 0.000 4.203 0.000 0.000 0.000 7.027" Properties=species:S:1:pos:R:3 pbc="T T T"
Li 0.000 0.000 0.000
Li 0.000 2.101 5.009
*/
In a very un-grandmotherly fashion, she sprinted across the room, lunged over the desk and managed to grab the eraser from the chalk board's ledge and erase a good portion of the board before she almost toppled over the desk head first. She managed to complete her lunge over the desk, plant both her feet in front of the board and continue erasing in almost one motion. She spoke with each stroke of the eraser, in much the same fashion as one might speak to a child with each swing during a spanking: "I ... don't ... know ... what ... Professor ... Slavitsky ... was ... thinking ... having ... you ... talk ... about ... such ... filth ... instead of ... training ... your ... lesson ... from ... the ... book!"
~~~
For Gd2Mn17C3, a structure optimized by DFT (PBE) gives the computed powder X-ray diffraction pattern in this record (copper Kα).
Lines closer than 0.1° are merged.

Structure:
```
data_Gd2Mn17C3
_chemical_formula_sum 'Gd6 Mn51 C9'
_cell_length_a 8.6030
_cell_length_b 8.6030
_cell_length_c 12.4951
_cell_angle_alpha 90.00
_cell_angle_beta 90.00
_cell_angle_gamma 120.00
_symmetry_space_group_name_H-M 'R -3 m'
_symmetry_Int_Tables_number 166
_symmetry_space_group_name_Hall '-R 3 2"'
loop_
_atom_site_label
_atom_site_fract_x
_atom_site_fract_y
_atom_site_fract_z
Gd1 0.0000 0.0000 0.1502
Mn1 0.0000 0.0000 0.4064
Mn2 0.0000 0.2790 0.5000
Mn3 0.0000 0.5000 0.0000
Mn4 0.0192 0.5096 0.3480
C1 0.0000 0.5000 0.5000
```

Top 10 peaks for 10 to 90 degrees two-theta, by angle:
index	2theta	I (rel.)
1 1 3	29.86	46
2 1 1	32.60	23
3 0 0	36.17	40
0 2 4	37.58	38
2 2 0	42.01	78
3 0 3	42.37	100
2 1 4	43.26	26
0 0 6	43.45	33
1 4 3	61.20	24
2 1 7	61.51	18

=====

This entry pairs a crystal structure of SrPb6 with its computed X-ray diffraction stick pattern. Radiation: copper Kα. Structure: a PBE-relaxed structure.

Largest 10 diffraction maxima, sorted by position, 10° ≤ 2θ ≤ 90°:
26.7 deg, d 3.333, intensity 40.1; 29.4 deg, d 3.035, intensity 74.7; 30.0 deg, d 2.979, intensity 62.1; 30.1 deg, d 2.967, intensity 40.8; 31.4 deg, d 2.851, intensity 100.0; 32.8 deg, d 2.734, intensity 62.8; 33.1 deg, d 2.706, intensity 49.5; 33.9 deg, d 2.643, intensity 39.9; 34.3 deg, d 2.612, intensity 49.7; 36.1 deg, d 2.490, intensity 98.2

Lattice parameters (Å, degrees): 11.906 6.492 12.312 90.00 90.00 90.00
Sites, in units of the cell vectors:
Sr1 0.208 0.250 0.112
Sr2 0.292 0.750 0.612
Sr3 0.708 0.250 0.388
Sr4 0.792 0.750 0.888
Pb1 0.023 0.750 0.102
Pb2 0.027 0.501 0.356
Pb3 0.027 0.999 0.356
Pb4 0.106 0.750 0.850
Pb5 0.192 0.250 0.530
Pb6 0.231 0.250 0.793
Pb7 0.269 0.750 0.293
Pb8 0.308 0.750 0.030
Pb9 0.394 0.250 0.350
Pb10 0.473 0.001 0.856
Pb11 0.473 0.499 0.856
Pb12 0.477 0.250 0.602
Pb13 0.523 0.750 0.398
Pb14 0.527 0.501 0.144
Pb15 0.527 0.999 0.144
Pb16 0.606 0.750 0.650
Pb17 0.692 0.250 0.970
Pb18 0.731 0.250 0.707
Pb19 0.769 0.750 0.207
Pb20 0.808 0.750 0.470
Pb21 0.894 0.250 0.150
Pb22 0.973 0.001 0.644
Pb23 0.973 0.499 0.644
Pb24 0.977 0.250 0.898

=====

This entry pairs a crystal structure of BeZnAsIr with its computed X-ray diffraction stick pattern. Radiation: copper Kα. Structure: a PBE-relaxed structure.

Largest 10 diffraction maxima, sorted by position, 10° ≤ 2θ ≤ 90°:
14.7 deg, d 6.026, intensity 30.2; 25.2 deg, d 3.540, intensity 100.0; 35.2 deg, d 2.553, intensity 52.3; 40.9 deg, d 2.205, intensity 15.4; 44.0 deg, d 2.058, intensity 18.0; 44.9 deg, d 2.020, intensity 31.0; 45.1 deg, d 2.009, intensity 18.0; 46.4 deg, d 1.958, intensity 72.8; 49.2 deg, d 1.852, intensity 15.7; 61.9 deg, d 1.499, intensity 20.3

Lattice parameters (Å, degrees): 2.818 6.304 6.304 34.16 90.00 90.00
Sites, in units of the cell vectors:
Be1 0.000 0.000 0.000
~~~
After the board was erased, Mrs. Lang took a deep breath and composed herself again. She picked up her book and started the lesson as if nothing had happened. Flappable, but only for a short time.